Month: January 2010

No. 1
# Y5Hg2Ru2
Simulated powder diffractogram, λ = 1.5418 Å (Cu Kα). Input: a DFT-relaxed cell (GGA-PBE, Alexandria).

Atomic structure:
a = 8.8939 Å, b = 8.8939 Å, c = 7.5720 Å
α = 90.00°, β = 90.00°, γ = 49.20°
Element x y z (fractional)
Y1 0.0000 0.0000 0.0000
Y2 0.0554 0.6972 0.6790
Y3 0.1972 0.5554 0.1790
Y4 0.3028 0.9446 0.6790
Y5 0.4446 0.8028 0.1790
Y6 0.5000 0.5000 0.5000
Y7 0.5554 0.1972 0.8210
Y8 0.6972 0.0554 0.3210
Y9 0.8028 0.4446 0.8210
Y10 0.9446 0.3028 0.3210
Hg1 0.2192 0.2192 0.0000
Hg2 0.2808 0.2808 0.5000
Hg3 0.7192 0.7192 0.5000
Hg4 0.7808 0.7808 0.0000
Ru1 0.1178 0.8822 0.3775
Ru2 0.3822 0.6178 0.8775
Ru3 0.6178 0.3822 0.1225
Ru4 0.8822 0.1178 0.6225

The 12 most intense peaks (5° ≤ 2θ ≤ 70°), in order of rising 2θ:
2θ (°), intensity
23.53, 38
25.99, 21
31.30, 35
32.41, 100
32.80, 60
33.87, 57
34.93, 41
38.08, 29
38.78, 26
42.70, 31
59.69, 21
64.93, 23


No. 2
# YHgRu2
Simulated powder diffractogram, λ = 1.5418 Å (Cu Kα). Input: a DFT-relaxed cell (GGA-PBE, Alexandria).

Atomic structure:
a = 2.9842 Å, b = 3.6741 Å, c = 7.0217 Å
α = 90.00°, β = 90.00°, γ = 90.00°
Element x y z (fractional)
Y1 0.0000 0.0000 0.0000
Hg1 0.5000 0.5000 0.3116
Ru1 0.0000 0.0000 0.5759
Ru2 0.5000 0.5000 0.7247

The 12 most intense peaks (5° ≤ 2θ ≤ 70°), in order of rising 2θ:
2θ (°), intensity
12.61, 28
27.40, 26
32.60, 17
35.36, 100
38.46, 21
38.88, 100
39.64, 73
49.63, 25
55.84, 29
62.22, 12
65.30, 33
66.87, 13


No. 3
# Y4Hg3Ru
Simulated powder diffractogram, λ = 1.5418 Å (Cu Kα). Input: a DFT-relaxed cell (GGA-PBE, Alexandria).

Atomic structure:
a = 3.5778 Å, b = 3.5778 Å, c = 15.2098 Å
α = 90.00°, β = 90.00°, γ = 90.00°
Element x y z (fractional)
Y1 0.0000 0.0000 0.1071
Y2 0.0000 0.0000 0.3712
Y3 0.0000 0.0000 0.6288
Y4 0.0000 0.0000 0.8929
Hg1 0.5000 0.5000 0.2432
Hg2 0.5000 0.5000 0.5000
Hg3 0.5000 0.5000 0.7568
Ru1 0.5000 0.5000 0.0000

The 12 most intense peaks (5° ≤ 2θ ≤ 70°), in order of rising 2θ:
2θ (°), intensity
5.81, 4
23.39, 7
24.89, 12
30.58, 5
34.42, 100
35.48, 49
42.94, 7
47.84, 9
51.05, 18
54.67, 4
60.96, 17
63.03, 35


Which formula does entry 2 have? YHgRu2


Structure and calculated XRD peak list of HfTiZnMo (a cell relaxed with GGA-PBE; Cu Kα (weighted mean of Kα1 and Kα2)).
Lines closer than 0.1° are merged.

Atomic structure:
a = 3.309 Å, b = 3.309 Å, c = 6.300 Å
α = 90.00°, β = 90.00°, γ = 90.00°
Positions (direct):
1 Hf 0.000 0.000 0.000
2 Ti 0.000 0.000 0.525
3 Zn 0.500 0.500 0.280
4 Mo 0.500 0.500 0.746

Peak list (12 most intense, 15 to 90 degrees two-theta, by angle)
2θ = 30.52°, rel. 28, hkl 1 0 1; 2θ = 38.48°, rel. 55, hkl 1 1 0; 2θ = 39.50°, rel. 100, hkl 1 0 2; 2θ = 41.16°, rel. 9, hkl 1 1 1; 2θ = 55.55°, rel. 19, hkl 2 0 0; 2θ = 58.61°, rel. 7, hkl 0 0 4; 2θ = 59.11°, rel. 7, hkl 1 1 3; 2θ = 64.71°, rel. 7, hkl 2 1 1; 2θ = 70.29°, rel. 35, hkl 2 1 2; 2θ = 72.32°, rel. 15, hkl 1 1 4; 2θ = 82.45°, rel. 6, hkl 2 2 0; 2θ = 85.03°, rel. 10, hkl 2 0 4

  • Mobile Collective Delusion

    From a thread about the Olympics: Essentially, the Olympics is a mobile collective delusion in which people use the excuse of a world heritage event to do for themselves what they wouldn’t or shouldn’t do in its absence. and another coment: Why can’t there just be a dedicated venue for the Olympics? Why does this […]

  • That's Sorta Neat

    A 19 year old guy on Reddit came to the realization he’s gay and if that completely changed his identity or opportunities. I left a comment: You don’t have to be anybody or anything besides what you were yesterday + thinking guys are sorta neat. via Reddit

  • Jon Stewart Loses His Sh*t Over Coakley/Brown

    Jon Stewart yesterday – before the special election in Massachusetts. This isn’t the Democrats are playing checkers and the Republicans are playing chess. It’s that the Republicans are playing chess and the Democrats are in the nurses office because once again they glued their balls to their thighs. Can’t wait to see what he says […]

  • Of Spines and Wimps

    Comment on Metafilter re: the Massachusetts election. I think it’s time for the Democrats to grow some testicles or ovaries and push their agenda through by forcing the Republicans to actually oppose them instead of merely threatening to oppose them. No one votes for a wimp. via Kiss U.S. Healthcare Reform Goodbye

  • U.N. Panel's Glacier Warning Is Criticized as Exaggerated –

    Ugh. Why let shady data get through? The actual disasters on the way are awful enough. U.N. Panel's Glacier Warning Is Criticized as Exaggerated – An estimate about the rapid melting of Himalayan glaciers from climate change is coming under fire as a gross exaggeration.

  • Report: FBI illegally collected phone records

    Obviously we need to throw more money at no-bid cost-plus contracts with private companies. Or fire all these assholes. Report: FBI illegally collected phone records The FBI violated the law in collecting thousands of U.S. telephone records during the Bush administration- The Washington Post reported Monday.

  • Weight Watchers Weigh-In Causes Floor Collapse

    Worst motivation ever: The floor beneath the feet of some 20 Weight Watchers members collapsed at a clinic in Sweden. The participants in the fat-loss programme had gathered for a weigh-in in the town of Växjö on Wednesday night. However the numbers on the scales weren’t the only thing dropping. “We suddenly heard a huge […]

  • Pentagon considering whether gay troops need to be segregated 'separate but equal' style; secret gay

    'Don't ask don't tell' boils down to 'don't drop the soap.' Pentagon considering whether gay troops need to be segregated 'separate but equal' style; secret gay In contrast to past statements from gay groups and administration officials that "there is a plan" with regards to the President's gay rights promises- including DADT- the secret meeting […]

  • Woman Grows New Trachea in Her Arm

    From a donor windpipe: A Belgian woman has a working windpipe after surgeons implanted the trachea from a dead man into her arm, where it grew new blood vessels before being transplanted into her throat.For more than 2½ years, Linda De Croock lived with constant pain from a car accident that smashed her windpipe. The […]